Tips on Writing Business Plans that Get Results in California – March 13, 2018

If you were traveling from New York to Alaska, and you had never been to Alaska, you would most likely consult a map for direction and guidance. If you didn’t, you could drive in circles for hours, if not days.

And if you didn’t ask anyone for directions, then you probably would not get there at all.

Unfortunately, many small-business owners attempt to do the same thing when they start their business. They start and continue to operate with no such map.

The end result is usually failure. With a business plan as your road map, your journey is not only much simpler, but your confidence is much higher.

A business plan is a written description of your business’ future. It’s a written document that explains and analyzes your business, and gives detailed projections about its future.

In short, it describes what you plan to do and how you plan to do it. A business plan covers all significant areas of the business including business strategy, marketing analysis, financial analysis and operations.

The Problem with Business Plans

The problem is that most business plans, once written, sit on a shelf and collect dust.

The first reason for that is that most business plans are written because the business owner thinks of it as an exercise that “must be done.” When the task at hand to prepare a business plan is approached in this way, it lacks the passion, energy and vibrancy that a good business plan should have.

The second problem is that most business plans are static. There is usually no room for change. Revisiting your plan, however, gives you the opportunity to step back, examine and organize your thinking about the business, and makes sure you’re charting a successful course for the future.

Writing a business plan is a lot of work. So why take the time to write one?  Because good planning leads to good success.  Almost without exception, business owners who write a plan are pleased they have one.  Those without a plan wish they had written one.

Here are some of the specific and immediate benefits you will derive from writing a business plan.

  • Helps You Obtain Money
  • Improves Your Odds of Success
  • Keeps You On Track

Outline of a Complete Business Plan

A business plan customarily has a number of major elements or sections. Each of these elements serves a particular purpose in the overall presentation of your plan.

There are three main parts to a business plan:

  • The first is the business concept: Here you discuss your business “industry,” your business structure, and your products or services.
  • The second is the marketplace section: Here you define and analyze the potential buyers of your product or service. You also describe and analyze your competitors.
  • The final section is the financial section: This includes your financial reports, e.g., the profit and loss statement, balance sheet, cash flow projections, and ratio analysis.

These three parts further break down into several key components.

Executive Summary 

This is arguably the most important single part of your document. It provides a high-level overview of the entire plan that emphasizes the factors that you believe will lead to success.  In essence, it is the business plan in miniature.

Someone who has finished reading your executive summary should be able to say, “So, that’s what these people are about.”

Market Research/Analysis

**Materials data, as found in the file**
┌──
# 1
The following is a calculated PXRD pattern of Sn4BiPb8. It was derived from a GGA-PBE-relaxed structure, using λ = 1.5418 Å (Cu Kα).

Peak list (10 most intense, 2θ from 5° to 70°, low angle first)
2θ = 30.57°, I 17; 2θ = 30.95°, I 27; 2θ = 31.44°, I 100; 2θ = 32.57°, I 20; 2θ = 34.26°, I 14; 2θ = 34.64°, I 44; 2θ = 35.38°, I 17; 2θ = 37.18°, I 16; 2θ = 53.03°, I 16; 2θ = 57.42°, I 14

Unit cell a=5.960 b=3.454 c=19.971 alpha=90.00 beta=92.65 gamma=90.00
Space group Pm (No. 6)
One atom of each set of equivalent atoms:
Sn1 0.000 0.000 0.000 (multiplicity 1)
Sn2 0.216 0.500 0.710 (multiplicity 1)
Sn3 0.511 0.500 0.582 (multiplicity 1)
Sn4 0.772 0.000 0.266 (multiplicity 1)
Bi1 0.302 0.500 0.288 (multiplicity 1)
Pb1 0.007 0.500 0.142 (multiplicity 1)
Pb2 0.344 0.000 0.441 (multiplicity 1)
Pb3 0.489 0.000 0.905 (multiplicity 1)
Pb4 0.500 0.500 0.052 (multiplicity 1)
Pb5 0.701 0.000 0.724 (multiplicity 1)
Pb6 0.835 0.500 0.407 (multiplicity 1)
Pb7 0.992 0.500 0.858 (multiplicity 1)
Pb8 0.995 0.000 0.577 (multiplicity 1)

***

# 2
The following is a calculated PXRD pattern of Sn4BiPb4. It was derived from a GGA-PBE-relaxed structure, using λ = 1.5418 Å (Cu Kα).

Peak list (10 most intense, 2θ from 5° to 70°, low angle first)
2θ = 30.89°, I 62; 2θ = 31.23°, I 48; 2θ = 31.78°, I 100; 2θ = 32.93°, I 17; 2θ = 33.83°, I 47; 2θ = 37.23°, I 33; 2θ = 38.13°, I 25; 2θ = 50.92°, I 26; 2θ = 54.14°, I 19; 2θ = 63.76°, I 14

Unit cell a=3.489 b=8.735 c=9.047 alpha=91.69 beta=97.24 gamma=95.56
Space group P-1 (No. 2)
One atom of each set of equivalent atoms:
Sn1 0.109 0.153 0.268 (multiplicity 2)
Sn2 0.293 0.836 0.422 (multiplicity 2)
Bi1 0.000 0.500 0.000 (multiplicity 1)
Pb1 0.335 0.511 0.669 (multiplicity 2)
Pb2 0.370 0.164 0.914 (multiplicity 2)

***

# 3
The following is a calculated PXRD pattern of Sn2Bi3Pb4. It was derived from a GGA-PBE-relaxed structure, using λ = 1.5418 Å (Cu Kα).

Peak list (10 most intense, 2θ from 5° to 70°, low angle first)
2θ = 28.70°, I 57; 2θ = 30.99°, I 100; 2θ = 32.01°, I 43; 2θ = 33.71°, I 43; 2θ = 36.77°, I 37; 2θ = 40.90°, I 18; 2θ = 44.53°, I 20; 2θ = 52.86°, I 14; 2θ = 56.42°, I 15; 2θ = 58.49°, I 16

Unit cell a=15.272 b=11.183 c=6.686 alpha=90.00 beta=92.17 gamma=90.00
Space group C2/c (No. 15)
One atom of each set of equivalent atoms:
Sn1 0.110 0.146 0.176 (multiplicity 8)
Bi1 0.000 0.106 0.750 (multiplicity 4)
Bi2 0.173 0.374 0.922 (multiplicity 8)
Pb1 0.053 0.361 0.492 (multiplicity 8)
Pb2 0.214 0.130 0.625 (multiplicity 8)
└──
**The materials data stop here**

This presents an analysis of the market conditions that the business faces, sets forth the marketing strategy that the business will follow, and provides a detailed schedule of marketing activities to support sales.

Market research looks at the total industry, however it is defined. Analyze the data for both the total market and your specific customers. Your target market represents your potential customers, who may be defined by age, sex, race, affluence, education, physical characteristics, location, etc.

Quantify your target market. Is it growing? By how much? What are the spending habits of your targeted customers? Who is your competition and how aggressive is it?

Operations, Management and Fulfillment

This is where you detail how operational and management issues will be resolved, including contingency planning. Operations incorporate the physical plant, its capacity and ability to grow, and your needs in terms of contract and equipment purchases (or leases).

How adaptable is the plant for updating its process? Is the industry rapidly changing and improving quality? What is the minimum you can manufacture (or sell) to avoid losing money? What salaries are necessary to operate the business?

Financial Projections

This is another extremely important section. Your projections (and historical financial information, if you have it) demonstrate how the business can be expected to do financially if the business plan’s assumptions are sound.


This is the place to present supporting documents, statistical analysis, product marketing materials, resumes of key employees, etc.

Using Your Business Plan and Keeping It Current

The mark of a good plan is its “usability.”  Words on a page mean nothing, unless you can put those words into actions.  A good plan dictates action.  It is a guide for operating your business, especially in its initial stages.

In Conclusion

Every business needs a plan, just as every destination needs a way to reach it.  Business planning, although not flashy or necessarily exciting, is essential to the development and organization of a successful business.  Without a plan, there is no way to reach your goal!

For more on this topic, please check out my book “Secrets of Small Business Success in the San Francisco Bay Area“.